[Part 2] The Entrepreneurial Dentist: The Psychology of Selling

If there is one common theme that you will often hear from Doctors it is their reluctance to, avoidance of, fear from or arrogant beliefs about “selling.”  Even the ones that embrace the reality (this it is necessary) are bashful and do not feel capable of doing it effectively.

In order to become an Entrepreneurial Dentist, one who is in control over your own destiny as the puppet master of your life (not the puppet at the mercy of all the tugs and pulls, twists and turns), you must own your responsibility to sell.

Sell the benefits of Dentistry.

Sell the value to the Patient.

Sell your team on execution.

Sell yourself on ideas and possibilities.

And yes, sell the fact that it’s better you do the dentistry than anyone else.

Before we go further, understand that “selling” leaves a bad taste in most people’s mouths because of the perception it carries.  Not having the proper comprehension will only derail your success.

There are a few ways this sabotage occurs and keeps you from realizing your entrepreneurial potential in your practice as a business.

First, some believe that selling is coercion or manipulation.  That you are forcing someone to do something they don’t want to do – you take their money and they now feel negatively about you, the experience and wish to have their money back.

Second, people believe that you shouldn’t have to sell yourself because you are a doctor or that the patient should just want it because you said so.

There are so many things that get inside doctors’ minds that actually hinder their ability to grow and prosper from their dentistry.  It all stems back to two things…

Your failure to see the value in what you are doing and be willing to command a premium fee for your time and expertise.


Your decision not to (or inability to) create a practice that is driven by a culture of sales.

I’m going to make it easier for you just this once… Instead of “selling” just for a second think of educating, influencing, or motivating a person to do something that is in their own best interest.

That is selling.

• Misplaced calculated crystals:
-- begin --
No. 1
# LiTaRe2
Simulated powder diffractogram, Cu Kα, 1.54184 Å. Input: a crystal structure in Alexandria, relaxed with GGA-PBE.

```
LiTaRe2
1.0
2.677 0.000 0.000
0.000 4.404 0.000
-0.887 0.000 5.166
Li Ta Re
1 1 2
direct
0.000 0.000 0.000 Li
0.281 0.500 0.757 Ta
0.563 0.000 0.480 Re
0.803 0.500 0.253 Re
```

Largest 6 diffraction maxima, sorted by position, 15° ≤ 2θ ≤ 90°:
d_spacing, two_theta, I (rel.)
5.166, 17.16, 44
3.351, 26.60, 34
2.228, 40.49, 100
2.203, 40.98, 99
2.193, 41.16, 95
1.557, 59.34, 34

No. 2
# Rb2TlCd
Simulated powder diffractogram, Cu Kα, 1.54184 Å. Input: a crystal structure in Alexandria, relaxed with GGA-PBE.

```
Rb2TlCd
1.0
6.219 -3.486 0.000
6.219 3.486 0.000
-2.132 0.000 4.734
Rb Tl Cd
2 1 1
direct
0.187 0.187 0.188 Rb
0.813 0.813 0.812 Rb
0.506 0.494 0.000 Tl
0.316 0.684 0.500 Cd
```

Largest 6 diffraction maxima, sorted by position, 15° ≤ 2θ ≤ 90°:
d_spacing, two_theta, I (rel.)
5.671, 15.63, 37
3.366, 26.48, 52
3.347, 26.64, 52
3.323, 26.83, 100
2.804, 31.92, 93
1.987, 45.67, 50

----------

Starting from the GGA+U geometry in Alexandria, the powder XRD pattern of Li3Fe4O3F5 was computed for a wavelength of 1.5418 Å.
Neutral-atom scattering factors, no anomalous dispersion.

Atomic structure:
Cell: 5.993 6.090 6.101 Å, 119.12 92.32 117.48°
Space group P1 (No. 1)
Symmetry-distinct sites (fractional):
Li 0.000 0.000 0.000 [1 per cell]
Li 0.011 0.495 0.484 [1 per cell]
Li 0.498 0.995 0.998 [1 per cell]
Fe 0.008 0.489 0.009 [1 per cell]
Fe 0.478 0.489 0.482 [1 per cell]
Fe 0.484 0.485 0.000 [1 per cell]
Fe 0.992 0.984 0.491 [1 per cell]
O 0.222 0.448 0.226 [1 per cell]
O 0.230 0.441 0.727 [1 per cell]
O 0.755 0.525 0.254 [1 per cell]
F 0.229 0.968 0.761 [1 per cell]
F 0.241 0.980 0.222 [1 per cell]
F 0.741 0.982 0.758 [1 per cell]
F 0.748 0.984 0.213 [1 per cell]
F 0.764 0.519 0.754 [1 per cell]

The 8 most intense peaks (2θ from 5° to 70°), low angle first:
- 2θ 17.6, I 498, hkl 0 1 -1
- 2θ 18.0, I 867, hkl 1 -1 0
- 2θ 20.0, I 469, hkl 0 1 0
- 2θ 21.2, I 450, hkl 1 -1 1
- 2θ 40.6, I 1000, hkl 0 2 0
- 2θ 41.4, I 956, hkl 2 0 -2
- 2θ 43.2, I 814, hkl 2 -2 2
- 2θ 58.9, I 273, hkl 2 2 -2

----------

Computed powder XRD pattern of Sc12In3Ir for a wavelength of 1.5418 Å, from the GGA-PBE geometry in Alexandria.
Neutral-atom scattering factors, no anomalous dispersion.

Crystal structure
```
Sc12In3Ir
1.0
4.517 0.000 0.000
0.000 4.517 0.000
0.000 0.000 17.454
Sc In Ir
12 3 1
Cartesian
0.000 0.000 0.000 Sc
0.000 0.000 4.187 Sc
0.000 0.000 8.727 Sc
0.000 0.000 13.268 Sc
0.000 2.259 1.856 Sc
0.000 2.259 6.459 Sc
0.000 2.259 10.995 Sc
0.000 2.259 15.598 Sc
2.259 0.000 1.856 Sc
2.259 0.000 6.459 Sc
2.259 0.000 10.995 Sc
2.259 0.000 15.598 Sc
2.259 2.259 4.225 In
2.259 2.259 8.727 In
2.259 2.259 13.229 In
2.259 2.259 0.000 Ir
```

The 10 most intense peaks (5 to 70 degrees two-theta), low angle first:
2θ (°), I (rel.)
5.1, 19.4
19.7, 23.6
20.3, 13.8
28.4, 20.3
34.8, 100.0
39.9, 35.5
41.4, 13.6
57.7, 11.3
58.8, 17.6
69.2, 24.2
-- stop --
• End of the calculated crystals:

Imagine convincing your kids to do something you know is good for them, perhaps eat healthier or study harder.  Have you ever had a persuasive conversation with your spouse?  It could where to go on vacation or to take more time off.

Unrelated to this piece: calculated crystals:
- - -
Computed XRD peak list
Compound: Ce2Nd2Se7
Radiation: CuKα
Structure: DFT lattice parameters and positions (GGA-PBE)
No peak broadening, texture or thermal motion is included.

Top 10 peaks for 2θ from 10° to 90°, by angle:
d/Å  Rel. int.
3.913  35
3.804  17
3.029  26
2.657  100
2.624  27
2.474  20
2.347  51
2.180  27
2.089  31
1.535  22

Structural model:
```
Ce2Nd2Se7
1.0
-2.0888 7.4234 4.6049
2.0888 -7.4234 4.6049
2.0888 7.4234 -4.6049
Ce Nd Se
2 2 7
direct
0.2397 0.0000 0.2397
0.7603 0.0000 0.7603
0.3030 0.8030 0.5000
0.7555 0.7555 0.0000
0.0088 0.6953 0.3135
0.0751 0.0751 0.0000
0.3659 0.4792 0.8867
0.3818 0.6953 0.6865
0.5925 0.4792 0.1133
0.6667 0.3086 0.3580
0.9506 0.3086 0.6420
```
- - -

You are selling.

Here is a big difference with Entrepreneurial Dentists that drives their underlying success… Pride.

They are proud of what they do.  And they would rather do the dentistry on their patients than take a chance that the patient would go somewhere else and get less quality work.

If you really feel this way then you owe it to yourself and your patients to sell them on not only what they should do but on WHO should do it.

This doesn’t have to come across as confrontational, though sometimes it might need to.  It doesn’t have to come across as arrogant or egotistical, though sometimes people may perceive it as such.  This doesn’t even have to come across as selling, though you will be accused of that dirty word often.

Selling is simply taking control over the outcomes that you get and ensuring your patients say yes.  As I tell you over and over and over again, you only help the ones who say yes.  So, if you want to help people, you better be selling them on not just what but who, not just how but why, not just where but when.

Every aspect of this matters.  Successful Entrepreneurial Dentists do not leave anything up to chance with the steps in their processes or in the minds of their patients.

They have built a sales environment that empowers – read that word again – EMPOWERS their patients to feel good about their decisions to move forward.

Remember, this is all about the value.  When you put the focus on the value and the benefits your patients receive from whatever it is that you are suggesting, they don’t have any resentment over money or being “sold.”  They only have one word: GRATITUDE.  If your experience is done right, that is what would happen.

Unrelated to this text: records of crystals.
┌──
Structure and computed X-ray diffraction stick pattern of Y2Er12Zr (DFT lattice parameters and positions (PBE); Cu Ka).

abc: 7.033 11.038 23.704
angles: 90.00 94.28 90.00
Space group C2/m (No. 12)
Inequivalent atoms, fractional coordinates:
Y  0.067  0.000  0.275 x4
Y  0.070  0.500  0.277 x4
Er  0.016  0.253  0.063 x8
Er  0.031  0.000  0.126 x4
Er  0.033  0.500  0.130 x4
Er  0.111  0.253  0.444 x8
Er  0.142  0.000  0.579 x4
Er  0.147  0.500  0.577 x4
Er  0.168  0.251  0.672 x8
Er  0.202  0.250  0.810 x8
Zr  0.225  0.500  0.000 x4

Principal peaks in the range 10 to 90 degrees two-theta, by angle:
- 2θ = 30.23°, I 25, (0 0 8)
- 2θ = 31.05°, I 45, (0 2 7)
- 2θ = 31.62°, I 100, (2 2 2)
- 2θ = 32.45°, I 79, (0 4 0)
- 2θ = 32.91°, I 39, (2 0 -6)
- 2θ = 34.43°, I 55, (0 2 8)
- 2θ = 34.74°, I 54, (2 2 -5)
- 2θ = 46.89°, I 29, (2 4 -6)

=====

Starting from a DFT-relaxed cell (PBE, Alexandria), the powder diffraction line list of Ho3Tm8Sc3 was simulated for copper Kα.

Structure:
```
data_Ho3Tm8Sc3
_cell_length_a 5.4516
_cell_length_b 10.3673
_cell_length_c 14.6016
_cell_angle_alpha 90.00
_cell_angle_beta 90.00
_cell_angle_gamma 90.00
_space_group_name_H-M_alt 'I m m m'
_space_group_IT_number 71
_space_group_name_Hall '-I 2 2'
loop_
_atom_site_label
_atom_site_fract_x
_atom_site_fract_y
_atom_site_fract_z
_atom_site_occupancy
Ho1 0.0000 0.0000 0.0000 1
Ho2 0.0000 0.5000 0.3230 1
Tm1 0.0000 0.1589 0.2803 1
Tm2 0.0000 0.3409 0.1025 1
Sc1 0.0000 0.0000 0.5000 1
Sc2 0.0000 0.2921 0.5000 1
```

Most intense lines, 10° ≤ 2θ ≤ 90°, most intense first:
2θ (°)  I/Imax  h k l
33.05  100  1 3 2
32.86  61  2 0 0
34.85  55  1 0 5
30.71  53  1 1 4
26.51  40  0 3 1
31.77  32  0 3 3
42.70  23  2 3 1
46.36  23  2 3 3
58.79  19  3 3 2
63.77  19  2 6 0
39.53  18  1 3 4
12.12  17  0 0 2
└──

The most ironic part about this whole selling thing is that the ones who don’t buy are the ones who complain and also receive no benefit.

Here’s my best advice for becoming an Entrepreneurial Dentist… remember that you are there for the patients who say yes; the “no’s” get no vote.

Your responsibility is to do everything you possibly can to help your patients get healthy and set them up for success.  Being bashful about “selling” is an absolute certain way to leave a lot of patients behind.

Here’s the best news of the day: this whole process doesn’t have to come across as selling.  Executed properly, it’s a beautiful experience ending in all parties being thrilled with the outcomes.

And that’s where we pick up next week when we move on to Part 3 of how to become an Entrepreneurial Dentist.

I will leave you with this final thought.  The real problem with selling is about YOUR thinking and YOUR mindset about it – not anyone else’s.  Don’t project your shortcomings onto others.

The Entrepreneurial Dentists work every day to build up their own confidence and deserve level around this.  They are not afraid to stand proud and promote all the good that they can do for others.

You too can share your vision for your patients by always focusing on how you can help and SELLING them on the amazing life-changing benefits they will receive because of it.